┌──
Calculated powder X-ray diffraction pattern of Pm6InAg3 for a wavelength of 1.5418 Å, from DFT lattice parameters and positions (PBE).

Main lines, by angle (2θ from 10° to 80°):
2θ/deg  d_spacing  I/Imax  index
32.6  2.744  94.1  3 1 -1
32.8  2.732  100.0  1 1 3
33.4  2.682  43.9  2 0 -4
34.7  2.586  45.7  0 2 0
44.9  2.020  17.2  4 0 2
48.9  1.862  29.8  2 2 -4
57.9  1.592  16.5  4 2 2
59.1  1.562  11.8  5 1 -5
59.4  1.555  15.4  1 1 -7
60.9  1.521  32.5  1 3 3

abc: 9.729 5.173 11.437
angles: 90.00 103.15 90.00
Space group P2_1/m (No. 11)
Asymmetric unit:
Pm (0.039, 0.250, 0.403)
Pm (0.134, 0.750, 0.189)
Pm (0.244, 0.250, 0.990)
Pm (0.334, 0.750, 0.804)
Pm (0.363, 0.250, 0.295)
Pm (0.404, 0.250, 0.592)
In (0.445, 0.750, 0.117)
Ag (0.037, 0.750, 0.894)
Ag (0.136, 0.250, 0.700)
Ag (0.265, 0.750, 0.470)
└──

Now retype the lines above from the one with "57.9" to the one with "angles: 90.00" verbatim.

57.9  1.592  16.5  4 2 2
59.1  1.562  11.8  5 1 -5
59.4  1.555  15.4  1 1 -7
60.9  1.521  32.5  1 3 3

abc: 9.729 5.173 11.437
angles: 90.00 103.15 90.00